Why NATURE matters in the next EU Budget: increasing investments in EU external action
Global Europe
On 30th April, Wetlands International European Association, WWF, the International Fund for Animal Welfare (IFAW), the Wildlife Conservation Society (WCS), and Conservation International Europe, issued a joint statement “Why NATURE matters in the next EU Budget: increasing investments in EU external action to address current and future challenges”, ahead of the publication of the next Multiannual Financial Framework on 2nd May. We called for an increase of investments in nature and biodiversity across future External Financing Instruments, and to acknowledge the urgency of tackling environmental degradation and biodiversity loss globally as essential elements for achieving Agenda2030 and its Sustainable Development Goals as well as the objectives of the Paris Agreement.
The EU as a global player has a responsibility to act and contribute to reversing these trends. It is at the heart of the EU’s values, objectives and interests to continue to show leadership in promoting the sustainable management of natural resources, biodiversity protection and ecosystem resilience. The next EU Budget is the perfect opportunity to show this leadership and must provide considerable, transparent and predictable funding to support healthy people and planet globally.
We therefore recommend that the EU dedicates a high proportion of its future External Financing Instruments (EFIs) to addressing these challenges
- An increased 50% target for climate AND environment relevant spending should be set across future External Financing Instruments, to deliver actions with clear and identifiable co-benefits across sectors;
- A specific window for biodiversity and natural resources should be defined within future External Financing Instruments, to allow for funding to be channelled directly to environment-related priorities in support of partner countries’ efforts to pursue their own commitments under the Convention on Biological Diversity and related multilateral agreements and to contribute to global public goods.
- Effective mainstreaming of environment and climate issues throughout EU EFIs should be ensured, through the inclusion of a requirement in the instruments’ legal basis and in any future Common Implementing Regulation (CIR).
- A consistent and transparent approach to reporting climate and biodiversity finance, both through public funds and leveraging private funds, should be agreed and used by all EU donors (EU institutions and Member States).
- The EU should maintain and expand its support to civil society at all levels throughout future EFIs, including the proposed window for environment and biodiversity.
== The entry is interrupted by records of molecules ==
=====
A | The following is a DFT calculation (the ωB97M-V functional and the def2-TZVPD basis) of the molecule C2H4N4O.

As for the gap between HOMO and LUMO: 10.52 eV. Its SMILES is Cn1nnc(O)n1.

Each line ends with the Löwdin charge.
Element x y z (Å)
C  -2.365  -0.387  0.041  -0.020
C  1.049  -0.145  0.017  -0.505
H  -2.527  -0.826  1.051  0.089
H  -2.899  0.666  0.035  0.120
H  -2.745  -0.986  -0.848  0.100
H  2.900  0.124  -0.289  0.116
N  -0.938  -0.111  -0.045  -0.282
N  -0.547  1.109  -0.079  -0.005
N  0.701  1.192  0.075  0.096
N  0.044  -0.976  -0.043  0.183
O  2.293  -0.536  0.043  0.107


B | The following is a DFT calculation (the ωB97M-V functional and the def2-TZVPD basis) of the molecule C2H4N4O.

As for the gap between HOMO and LUMO: 9.12 eV. Its SMILES is Nc1n[nH]c(O)n1.

Each line ends with the Löwdin charge.
Element x y z (Å)
N  2.248  0.235  0.260  0.106
C  0.902  0.156  -0.096  -0.471
N  0.480  -1.054  -0.399  0.065
N  -0.862  -0.918  -0.329  0.038
C  -1.199  0.325  0.009  -0.431
O  -2.507  0.393  0.384  0.091
N  -0.106  1.092  0.086  0.165
H  2.670  -0.677  0.112  0.084
H  2.857  0.997  0.007  0.081
H  -1.451  -1.722  -0.217  0.154
H  -3.032  1.173  0.182  0.118


C | The following is a DFT calculation (the ωB97M-V functional and the def2-TZVPD basis) of a structure of composition C2H4N4O.

As for the gap between HOMO and LUMO: 9.95 eV.

Each line ends with the Löwdin charge.
Element x y z (Å)
N  2.124  0.347  -0.018  0.150
C  0.800  0.085  -0.001  -0.490
N  0.296  -0.957  0.629  0.068
N  -1.095  -0.790  0.358  -0.005
C  -1.214  0.502  -0.309  -0.537
O  -2.425  0.850  -0.125  0.023
N  -0.060  1.004  -0.610  0.184
H  2.759  -0.371  0.291  0.103
H  2.455  1.044  -0.664  0.101
H  -1.415  -1.560  -0.235  0.157
H  -2.195  -0.185  0.735  0.246


D | The following is a DFT calculation (the ωB97M-V functional and the def2-TZVPD basis) of the molecule C2H4N4O.

As for the gap between HOMO and LUMO: 10.05 eV. Its SMILES is [H]/N=C1\NN=CON1.

Each line ends with the Löwdin charge.
Element x y z (Å)
C  0.439  -0.293  -0.726  -0.537
C  -1.085  0.571  1.366  -0.185
H  1.965  -1.194  -1.398  0.061
H  -0.734  0.995  -1.762  0.153
H  -1.871  0.862  2.039  0.120
H  1.403  -1.187  0.803  0.131
N  1.157  -0.615  -1.737  0.115
N  -0.756  0.360  -0.952  0.098
N  -0.148  -0.269  1.620  0.068
N  0.742  -0.478  0.583  0.038
O  -1.112  1.248  0.165  -0.061


Most stable: B (next structure +123.5 kJ/mol)


A | The following is a DFT calculation (the ωB97M-V functional and the def2-TZVPD basis) of a cluster of 2 separate species, C4H13N2O2 in total.

Its charge is -1. As for the gap between HOMO and LUMO: 6.09 eV.

Each line ends with the Löwdin charge.
Element x y z (Å)
C  -0.020  -2.033  -1.338  -0.191
N  -0.956  -0.931  -1.513  -0.140
C  -0.232  0.309  -1.999  -0.595
O  0.673  0.138  -2.942  -0.326
H  0.620  -2.173  -2.215  0.053
H  -0.561  -2.950  -1.101  0.053
H  0.639  -1.796  -0.493  0.058
H  -1.634  -1.177  -2.220  0.060
=====
== Back to the entry ==
- A strong commitment to policy coherence for sustainable development should guide the next MFF, to ensure that policies and actions in Europe do not undermine the achievement of sustainable development objectives in partner countries and globally.
Download the document here